Bernie Sanders Wins Sixth Debate, Hillary's Racist Roots Show

February 11, 2016. Milwaukee, Wisconsin. Polls again gave Bernie Sanders a strong (80% or more) win in the sixth debate.This was in spite of the fact that the debate was moderated by two visibly biased Hillary Clinton's elite supporters and of the fact that establishment Democrats were allowed to take up the majority of seats in the audience.
Bernie proved he was a master of foreign policy and continued his honest approach to informing the people.
Hillary took to misstating Bernie's record and his statements while showing almost Hitleresque feelings towards Latinos and other minorities.
Some of the lies Hillary was caught fabricating.
a) Bernie's economic plan. Among the lies Hillary was caught in was the cost-effectiveness of Bernie's economic, health care and education plans. She claimed that some unidentified economist said it wouldn't work but failed to come up with a name for that economist. Bernie's Plan has been vetted by over 200 top economists who say it will save $5 trillion, raise the median family income by $22,000 and save the average family $1200 annually. Among those top economists who say that Bernie's plan will work and will save the economy is Robert Reich, Bill Clinton's Secretary of Labor and a former FTC policy planning chairman. Reich was considered good enough of an economist for Bill Clinton to appoint. Despite having no verification of her claims and being called on their falsity, Clinton just kept repeating them as if her word was more important than facts.
b) Hillary falsely accused Bernie of voting for regime change in Libya. Obama went to war on Libya without a Congressional vote in support of war, causing Constitutional Democrats like Dennis Kucinich to question whether Obama had committed an impeachable offense. Basically, Clinton mischaracterized a different vote into being a non-existent vote to try to make it falsely appear that Bernie had voted for regime change in Libya.
c) Hillary out and out lied about things Bernie had never said about Obama. She interpreted fair criticisms about certain of his policies to claim that Bernie had called Obama a bunch of names, including weak and a disappointment. She blatantly lied when she said that, in the debate, Bernie Sanders had said Obama failed the leadership test. All anyone needs to do is to rewind the debate to see that Hillary's statements were false. As for the weak and disappointing part, Sanders has gone to a lot of effort to praise Obama. Occasionally, Sanders has disagreed with Obama's positions and has been honest about that. Sanders spoke for the right of a Senator to speak his conscience and go with his conscience rather than supporting policies the Senator doesn't agree with. The willingness of Hillary to lie when viewers need simply to rewind a recording means that she thinks that she does not believe voters care about honest and integrity.
Next to the article, the page also holds data records:
~~~
1.
{
  "formula": "Tb2HoCl",
  "functional": "PBE",
  "state": "relaxed",
  "formation_energy_uncorrected_mev_per_atom": -651,
  "crystal_system": "trigonal",
  "dos_at_fermi_per_ev_cell": 4.1,
  "spacegroup": "R-3m",
  "lattice": [[-1.433, -1.752, -2.796], [1.704, -2.837, -1.409], [-4.771, -7.567, 4.872]],
  "species": ["Tb", "Cl", "Tb", "Ho"],
  "fractional_positions": [[0.740, 0.740, 0.781], [0.000, 0.000, 0.000], [0.260, 0.260, 0.219], [0.500, 0.500, 0.500]]
}



2.
{
  "formula": "TbHo2Cl",
  "functional": "PBE",
  "state": "relaxed",
  "formation_energy_uncorrected_mev_per_atom": -349,
  "crystal_system": "trigonal",
  "dos_at_fermi_per_ev_cell": 5.8,
  "spacegroup": "R-3m",
  "lattice": [[3.423, 0.000, 0.000], [1.711, 2.964, 0.000], [1.711, 0.988, 11.171]],
  "species": ["Ho", "Cl", "Ho", "Tb"],
  "fractional_positions": [[0.101, 0.101, 0.698], [0.500, 0.500, 0.500], [0.899, 0.899, 0.302], [0.000, 0.000, 0.000]]
}



3.
{
  "formula": "TbHoCl",
  "functional": "PBE",
  "state": "relaxed",
  "polymorph_energy_mev_per_atom": 87.5,
  "formation_energy_uncorrected_mev_per_atom": -810,
  "crystal_system": "monoclinic",
  "dos_at_fermi_per_ev_cell": 3.3,
  "spacegroup": "Cm",
  "lattice": [[10.239, 0.316, -1.302], [5.089, 3.034, -1.126], [-7.040, -3.742, 6.548]],
  "species": ["Cl", "Tb", "Cl", "Ho", "Ho", "Tb"],
  "fractional_positions": [[0.689, 0.412, 0.552], [0.874, 0.630, 0.050], [0.690, 0.906, 0.549], [0.190, 0.132, 0.366], [0.189, 0.184, 0.734], [0.505, 0.686, 0.050]]
}



4.
{
  "formula": "TbHoCl3",
  "functional": "PBE",
  "state": "relaxed",
  "formation_energy_uncorrected_mev_per_atom": -1831,
  "crystal_system": "monoclinic",
  "spacegroup": "C2/m",
  "lattice": [[-2.793, -2.532, -0.658], [3.715, -7.302, 1.198], [-1.989, -3.012, 8.898]],
  "species": ["Cl", "Ho", "Cl", "Cl", "Ho", "Tb", "Cl", "Cl", "Tb", "Cl"],
  "fractional_positions": [[0.221, 0.675, 0.883], [0.582, 0.789, 0.047], [0.662, 0.182, 0.493], [0.779, 0.325, 0.117], [0.418, 0.211, 0.953], [0.139, 0.013, 0.710], [0.041, 0.660, 0.257], [0.959, 0.340, 0.743], [0.861, 0.987, 0.290], [0.338, 0.818, 0.507]]
}



5.
{
  "formula": "TbHoCl",
  "functional": "PBE",
  "state": "relaxed",
  "polymorph_energy_mev_per_atom": 0.0,
  "formation_energy_uncorrected_mev_per_atom": -898,
  "crystal_system": "trigonal",
  "dos_at_fermi_per_ev_cell": 3.6,
  "spacegroup": "P3m1",
  "lattice": [[3.667, 0.000, 0.000], [-1.833, 3.176, 0.000], [0.000, 0.000, 6.979]],
  "species": ["Cl", "Ho", "Tb"],
  "fractional_positions": [[0.667, 0.333, 0.332], [0.000, 0.000, 0.024], [0.333, 0.667, 0.644]]
}



6.
{
  "formula": "TbHo3Cl",
  "functional": "PBE",
  "state": "relaxed",
  "formation_energy_uncorrected_mev_per_atom": -430,
  "crystal_system": "cubic",
  "dos_at_fermi_per_ev_cell": 5.9,
  "spacegroup": "Pm-3m",
  "lattice": [[-1.706, 4.367, -2.370], [1.993, -1.694, -4.556], [-4.552, -2.379, -1.107]],
  "species": ["Cl", "Ho", "Ho", "Tb", "Ho"],
~~~
Bernie proved he was a master of foreign policy and continued his honest approach to informing the people.
Hillary took to misstating Bernie's record and his statements while showing almost Hitleresque feelings towards Latinos and other minorities.
Some of the lies Hillary was caught fabricating.
a) Bernie's economic plan. Among the lies Hillary was caught in was the cost-effectiveness of Bernie's economic, health care and education plans. She claimed that some unidentified economist said it wouldn't work but failed to come up with a name for that economist. Bernie's Plan has been vetted by over 200 top economists who say it will save $5 trillion, raise the median family income by $22,000 and save the average family $1200 annually. Among those top economists who say that Bernie's plan will work and will save the economy is Robert Reich, Bill Clinton's Secretary of Labor and a former FTC policy planning chairman. Reich was considered good enough of an economist for Bill Clinton to appoint. Despite having no verification of her claims and being called on their falsity, Clinton just kept repeating them as if her word was more important than facts.
b) Hillary falsely accused Bernie of voting for regime change in Libya. Obama went to war on Libya without a Congressional vote in support of war, causing Constitutional Democrats like Dennis Kucinich to question whether Obama had committed an impeachable offense. Basically, Clinton mischaracterized a different vote into being a non-existent vote to try to make it falsely appear that Bernie had voted for regime change in Libya.
c) Hillary out and out lied about things Bernie had never said about Obama. She interpreted fair criticisms about certain of his policies to claim that Bernie had called Obama a bunch of names, including weak and a disappointment. She blatantly lied when she said that, in the debate, Bernie Sanders had said Obama failed the leadership test. All anyone needs to do is to rewind the debate to see that Hillary's statements were false. As for the weak and disappointing part, Sanders has gone to a lot of effort to praise Obama. Occasionally, Sanders has disagreed with Obama's positions and has been honest about that. Sanders spoke for the right of a Senator to speak his conscience and go with his conscience rather than supporting policies the Senator doesn't agree with. The willingness of Hillary to lie when viewers need simply to rewind a recording means that she thinks that she does not believe voters care about honest and integrity.
# The entry is interrupted by calculated crystals
........
P | HoEr2Mg9: optimized geometry, GGA-PBE.

Summary:
* ρ: 4.0 g/cm3
* DOS at the Fermi energy: 9.6 states/eV/cell

Cell: 4.6473 4.6473 13.9266 Å, 90.00 90.00 90.00°
Fractional coordinates of all 12 atoms:
Ho 0.0000 0.0000 0.0000
Er 0.0000 0.0000 0.3335
Er 0.0000 0.0000 0.6665
Mg 0.0000 0.5000 0.1670
Mg 0.0000 0.5000 0.5000
Mg 0.0000 0.5000 0.8330
Mg 0.5000 0.0000 0.1670
Mg 0.5000 0.0000 0.5000
Mg 0.5000 0.0000 0.8330
Mg 0.5000 0.5000 0.0000
Mg 0.5000 0.5000 0.3338
Mg 0.5000 0.5000 0.6662


Q | HoEr2Mg9: optimized geometry, GGA-PBE.

Summary:
* ρ: 3.9 g/cm3
* DOS at the Fermi energy: 10.3 states/eV/cell

Cell: 10.2567 10.2567 10.2567 Å, 34.12 34.12 34.12°
Fractional coordinates of all 12 atoms:
Ho 0.0000 0.0000 0.0000
Er 0.1434 0.1434 0.1434
Er 0.8566 0.8566 0.8566
Mg 0.0791 0.5870 0.5870
Mg 0.3341 0.3341 0.3341
Mg 0.4130 0.4130 0.9209
Mg 0.4130 0.9209 0.4130
Mg 0.5000 0.5000 0.5000
Mg 0.5870 0.0791 0.5870
Mg 0.5870 0.5870 0.0791
Mg 0.6659 0.6659 0.6659
Mg 0.9209 0.4130 0.4130


Of them, P has the highest stability.


P | Ho4Er7Mg: optimized geometry, GGA-PBE.

Summary:
* ρ: 8.3 g/cm3
* DOS at the Fermi energy: 18.3 states/eV/cell

Cell: 11.3422 11.3422 6.2984 Å, 102.22 102.22 28.12°
Fractional coordinates of all 12 atoms:
Ho 0.1168 0.1168 0.3398
Ho 0.2086 0.2086 0.8862
Ho 0.7914 0.7914 0.1138
Ho 0.8832 0.8832 0.6602
Er 0.0460 0.0460 0.7995
Er 0.2895 0.2895 0.4382
Er 0.3649 0.3649 0.0111
Er 0.5000 0.5000 0.5000
Er 0.6351 0.6351 0.9889
Er 0.7105 0.7105 0.5618
Er 0.9540 0.9540 0.2005
Mg 0.5000 0.5000 0.0000


Q | Ho4Er7Mg: optimized geometry, GGA-PBE.

Summary:
* ρ: 8.5 g/cm3
* DOS at the Fermi energy: 17.2 states/eV/cell

Cell: 3.5073 3.5073 33.9824 Å, 90.00 90.00 120.00°
Fractional coordinates of all 12 atoms:
Ho 0.3333 0.6667 0.1626
Ho 0.3333 0.6667 0.4156
Ho 0.6667 0.3333 0.5844
Ho 0.6667 0.3333 0.8374
Er 0.0000 0.0000 0.2470
Er 0.0000 0.0000 0.5000
Er 0.0000 0.0000 0.7530
Er 0.3333 0.6667 0.6688
Er 0.3333 0.6667 0.9213
Er 0.6667 0.3333 0.0787
Er 0.6667 0.3333 0.3312
Mg 0.0000 0.0000 0.0000


Of them, Q has the highest stability.


P | Ho3ErMg7: optimized geometry, GGA-PBE.

Summary:
* ρ: 4.6 g/cm3
* DOS at the Fermi energy: 19.8 states/eV/cell

Cell: 11.3278 11.3278 16.3014 Å, 90.00 90.00 163.30°
Fractional coordinates of all 22 atoms:
Ho 0.1178 0.8822 0.5332
Ho 0.1178 0.8822 0.9668
Ho 0.2376 0.7624 0.2500
Ho 0.7624 0.2376 0.7500
Ho 0.8822 0.1178 0.0332
Ho 0.8822 0.1178 0.4668
Er 0.0139 0.9861 0.2500
Er 0.9861 0.0139 0.7500
Mg 0.2620 0.7380 0.5751
Mg 0.2620 0.7380 0.9249
Mg 0.3754 0.6246 0.6576
Mg 0.3754 0.6246 0.8424
Mg 0.3845 0.6155 0.2500
Mg 0.4937 0.5063 0.5843
Mg 0.4937 0.5063 0.9157
Mg 0.5063 0.4937 0.0843
Mg 0.5063 0.4937 0.4157
Mg 0.6155 0.3845 0.7500
Mg 0.6246 0.3754 0.1576
Mg 0.6246 0.3754 0.3424
Mg 0.7380 0.2620 0.0751
Mg 0.7380 0.2620 0.4249


Q | Ho3ErMg7: optimized geometry, GGA-PBE.

Summary:
* ρ: 4.4 g/cm3
* DOS at the Fermi energy: 9.7 states/eV/cell

Cell: 7.4000 7.4000 6.0282 Å, 103.08 103.08 86.89°
........

Hillary's Racist Roots:
a) It Is well known that Hilary Clinton was a Goldwater Girl who supported his position that the schools should be re-segregated under the claim that separate is equal and his attempt to stop the passage of the Civil Rights Act of 1964 and the Voting Rights Acts of 1965. Now she supports the continued incarceration of Black Americans. Though more whites are arrested for drugs, more Blacks are incarcerated. These Blacks never harmed anyone and Clinton wants to see them stay in prison. The number one offense for which incarceration takes place involves drug, victimless crimes. She continues to oppose the legalization of marijuana. Clinton's extensive donations from the prison industrial complex may explain her continued support for the mass incarceration of Blacks. Funding of free college would turn the situation and give African-American children a future and lessen the number winding up in prison. However, Hillary opposes giving free college to minorities groups and the poor.
b) Hillary attacked Bernie for his failure to support a comprehensive immigration policy that would have placed immigrants into slave-labor/concentration camps with no path to citizenship. Bernie had the support of millions of Latinos who marched in the streets and closed down freeways in opposition to this bill. He also had the support of many Latino organizations, including LULAC, and the Southern Poverty Law Center.
c) Hillary spoke of how she worked to make an example of denying Honduran children asylum as a way to send a message to the children. Shocked, Bernie spoke in favor of treating the children fairly and not making an example of them.
d) Hillary's policies from her support of the death penalty that is used to disproportionately exterminate innocent Blacks to her opposition to releasing young African Americans who are in prison because of drug use, have shown more than a lack of compassion. They amount to a showing of a resentment of minorities. Bernie's policies in these areas are supportive of Blacks and seek to give them education rather than incarceration.
e) Hillary spoke in favor of insurance-care over moving towards not-for-profit health care. Blacks are the worst hit by the under-insurance. But Hillary has health care for life and showed no compassion for those who have to forgo that health are. Bernie is propelled by compassion for those less fortunate than he is. This is why he supports a move into single-payer, not for profit health care and ridding the country of rich insurance profits at the expense of those in need of medical care.
f) Hillary Clinton's presented her hero and foreign policy mentor as Henry Kissinger, the man considered responsible for the deaths of more than a million Cambodians and thousands of Chileans. With the exception of the American Reporters, those slaughtered because of the actions of Hillary's hero were Asian and Hispanic. Bernie said Kissinger was no friend of his.
All the post-debate polls showed that the public was with Sanders and believed he won the debate. A debate hall packed with insider establishment people could not stop his candidacy. Neither could unfair remarks from Judy Woodruff and Gwen Ifil, two people earning well over $250,000 per year, two people unwilling to see the benefits of an economic plan that does not cater to the rich.
a) It Is well known that Hilary Clinton was a Goldwater Girl who supported his position that the schools should be re-segregated under the claim that separate is equal and his attempt to stop the passage of the Civil Rights Act of 1964 and the Voting Rights Acts of 1965. Now she supports the continued incarceration of Black Americans. Though more whites are arrested for drugs, more Blacks are incarcerated. These Blacks never harmed anyone and Clinton wants to see them stay in prison. The number one offense for which incarceration takes place involves drug, victimless crimes. She continues to oppose the legalization of marijuana. Clinton's extensive donations from the prison industrial complex may explain her continued support for the mass incarceration of Blacks. Funding of free college would turn the situation and give African-American children a future and lessen the number winding up in prison. However, Hillary opposes giving free college to minorities groups and the poor.
b) Hillary attacked Bernie for his failure to support a comprehensive immigration policy that would have placed immigrants into slave-labor/concentration camps with no path to citizenship. Bernie had the support of millions of Latinos who marched in the streets and closed down freeways in opposition to this bill. He also had the support of many Latino organizations, including LULAC, and the Southern Poverty Law Center.
c) Hillary spoke of how she worked to make an example of denying Honduran children asylum as a way to send a message to the children. Shocked, Bernie spoke in favor of treating the children fairly and not making an example of them.
d) Hillary's policies from her support of the death penalty that is used to disproportionately exterminate innocent Blacks to her opposition to releasing young African Americans who are in prison because of drug use, have shown more than a lack of compassion. They amount to a showing of a resentment of minorities. Bernie's policies in these areas are supportive of Blacks and seek to give them education rather than incarceration.
e) Hillary spoke in favor of insurance-care over moving towards not-for-profit health care. Blacks are the worst hit by the under-insurance. But Hillary has health care for life and showed no compassion for those who have to forgo that health are. Bernie is propelled by compassion for those less fortunate than he is. This is why he supports a move into single-payer, not for profit health care and ridding the country of rich insurance profits at the expense of those in need of medical care.
f) Hillary Clinton's presented her hero and foreign policy mentor as Henry Kissinger, the man considered responsible for the deaths of more than a million Cambodians and thousands of Chileans. With the exception of the American Reporters, those slaughtered because of the actions of Hillary's hero were Asian and Hispanic. Bernie said Kissinger was no friend of his.
All the post-debate polls showed that the public was with Sanders and believed he won the debate. A debate hall packed with insider establishment people could not stop his candidacy. Neither could unfair remarks from Judy Woodruff and Gwen Ifil, two people earning well over $250,000 per year, two people unwilling to see the benefits of an economic plan that does not cater to the rich.